Junior School Music Information for Parents
Welcome to Music at Camberwell Grammar. The Music Department offers private tuition in a range of instruments as well as lessons in Voice and Music Theory. We have a broad co-curricular program which caters for students of all ages, abilities, and interests. All students who learn an instrument are expected to join an ensemble to support their musicianship, and collaborative and social skills. CGS has a proud history of choral singing, and all boys participate in singing throughout the School.
Students participate in Music classes as part of the curriculum from Pre-Prep to Year 5. During Year 3, students participate in the Year 3 String Program which gives all students the experience of learning Violin or Cello and learning collaboratively as part of an instrumental ensemble. Year 4 music includes the Year 4 Band Program where students have the opportunity to learn Woodwind, Brass or Percussion and perform as part of a band.
Ensemble participation is a joyful and meaningful way to work collaboratively whilst developing individual skills. Co-curricular ensembles include Junior School Sing and String Ensemble, Junior School Concert Band and Junior School Choir. Students may further develop their performing and instrumental skills with extension ensembles suitable for their instrument.
Students perform at a range of formal and informal events throughout the year, including solo Soirées, Junior School Presents and the Instrumental Concert. Students all participate in the Junior School Easter and Christmas Service.
Music at Camberwell Grammar has a long and distinguished history. We look forward to your son beginning this joyful and fulfilling lifelong journey.
All enrolments are co-ordinated through the Music Department Office. Students in Years 3 – 5 may enrol in instrumental lessons through DEEDS.
Interested families in Years Pre-Prep – 2 are encouraged to submit an expression of interest via email to music@cgs.vic.edu.au as the first step in the enrolment process. We will discuss the readiness of individual students in these year levels with the classroom teacher and their suitability for certain instruments.
Students in Years 3 – 5 may commence lessons any time of the term depending upon teacher availability.
Lessons for Year 1 students do not commence until Term 2 to allow boys to settle into the routines of the classroom.
We encourage students to favour one instrument and/or piano. If you wish to enquire about another instrument, please email the Music School, so that we can discuss further. Enrolments in a second instrument at school must be approved by the Head of Junior School Music, Mr Alex St Vincent Welch.
String lessons in Year 3 will be in a shared lesson.
If your son is having a shared lesson, these are ongoing paired collaborative lessons. Shared lessons are only available if there is another student at a similar skill level who also wishes to partake in paired lessons at the discretion of the Head of Department.
Shared lessons will occur until each student has reached a point of needing to learn independently. We review these lessons term by term based on your son’s knowledge, technique and skill level. If your child has reached this point, your son’s teacher will be in contact to discuss your son’s musical journey further.
Performing is a valuable life-long skill that is nurtured through performing for an audience. Students in the Junior School have the opportunity to perform in music Soirées held each term. Your son’s teacher will nominate him, and you receive information about the concert and expectations.
Students learning outside the school are welcome to perform and will find the nomination form through DEEDS two weeks before the concert. We encourage students to perform only once a semester.
Junior School
Music Theory Music Theory Grade 1 & 2 is offered to Middle School students who are learning an instrument at CGS which is free of charge. If you wish to wish to enquire, please email the Music School and we can provide further information.
Individual tuition for Junior School students is based on a fixed timetabled lesson of 30 minutes at the cost of $54.75 per lesson.
If your son is having a shared lesson, the cost is $27.38.
Music fees are charged in arrears and will appear on your Statement of Account. Please note the billing periods for music lessons vary from term dates and are noted at the bottom of the family statement.
When you enrol into music lessons, you agree to also allow your son to hire a school instrument if needed.
The cost of hire for all instruments is $25.00 per term. By completing the enrolment form, you agree for your family account to be charged accordingly for hire and lessons.
These fees roll over term to term, until you return your instrument to the music office. If you purchase your own instrument, please return the hire instrument to end the hire fees.
Students in Junior School have a 30-minute instrumental lesson scheduled at a fixed time on the same day each week.
Your son’s classroom teacher and instrumental teacher will support your son to develop a routine of checking his lesson time each week.
From time to time, your son’s lesson time may be changed to accommodate special activities such as excursions or sport. We encourage your son to write his lesson time down in his diary or as a note on his desk. These times are also posted on the music room notice board, on the main Junior School notice board in the play area, and in classrooms.
It is important that students bring their diary to every lesson to record home learning and to note the time for the following week.
Teachers will support your son to catch up on the class when they return.
Lessons will occur in class time, unless students are learning two instruments, where one will be a fixed time within class, and the other outside of hours.
Lesson times outside of class times are rare, as we have a busy music program that caters to the Junior, Middle and Senior Schools.
VCE and Senior School students are prioritised for outside of class time lessons only.
If your son is going to miss a lesson, please contact the Music School Office as soon as possible. The Music School Office can be contacted on 9835 1744, or a voicemail message may be left on that number.
Lessons that are missed with less than 24 hours’ notice cannot be made up and will be charged to the School account.
Please note that it will not always be possible to re schedule a lesson. This is at the discretion of your son’s teacher.
-- The entry is interrupted by data records --
Entry 1:
Here is a structure of composition C3H6OS from the OMol25 dataset. Energies are from ωB97M-V/def2-TZVPD.

ΔE to the lowest compared entry with this formula, charge and spin   1.219 eV
HOMO energy   -8.5 eV
LUMO   0.78 eV
Energy   -591.28819 a.u.
Kohn-Sham gap   9.3 eV
Net charge   0

Each line ends with the natural charge from an NBO analysis.
Cartesian coordinates (Å):
C1 0.765 0.300 0.564  0.07
C2 0.010 -1.076 0.649  -0.50
C3 -0.259 1.162 -0.145  -0.52
H1 2.679 -0.013 0.309  0.48
H2 1.021 0.804 1.465  0.17
H3 0.554 -1.821 0.080  0.22
H4 -0.426 -1.479 1.573  0.22
H5 0.188 1.610 -1.002  0.23
H6 -0.905 1.899 0.414  0.22
O1 1.898 0.154 -0.256  -0.71
S1 -1.337 -0.284 -0.450  0.12

=====

Entry 2:
Here is a cluster of 2 separate species, C10H10N2 in total from the OMol25 dataset. Energies are from ωB97M-V/def2-TZVPD.

ΔE to the lowest compared entry with this formula, charge and spin   3.454 eV
SMILES   c1ccncc1.c1ccncc1
HOMO energy   -8.7 eV
LUMO   0.84 eV
Energy   -496.47017 a.u.
Kohn-Sham gap   9.5 eV
Net charge   0

Each line ends with the natural charge from an NBO analysis.
Cartesian coordinates (Å):
C1 -1.835 -1.140 0.319  0.03
C2 -3.107 -1.045 -0.045  -0.26
C3 -3.688 0.146 -0.358  -0.16
C4 -2.857 1.337 -0.346  -0.25
C5 -1.511 1.027 -0.138  0.03
C6 1.300 -0.747 0.398  0.05
C7 1.384 0.575 0.759  -0.26
C8 2.474 1.326 0.344  -0.20
C9 3.400 0.654 -0.344  -0.27
C10 3.325 -0.715 -0.540  0.04
H1 -1.401 -2.100 0.505  0.19
H2 -3.909 -1.923 0.175  0.22
H3 -4.726 0.221 -0.646  0.22
H4 -3.288 2.336 -0.553  0.23
H5 -0.662 1.717 -0.319  0.20
H6 0.480 -1.494 0.614  0.20
H7 0.658 1.066 1.433  0.23
H8 2.596 2.420 0.381  0.22
H9 4.253 1.257 -0.832  0.21
H10 4.243 -1.254 -0.944  0.19
N1 -1.034 -0.127 0.317  -0.43
N2 2.240 -1.408 -0.334  -0.43

=====

Entry 3:
Here is the ion C15H22BrClNO with charge +1 from the OMol25 dataset. Energies are from ωB97M-V/def2-TZVPD.

SMILES   Cc1cc(Cl)c(OCCC[NH2+]C2CCCC2)c(Br)c1
HOMO energy   -11.9 eV
LUMO   -2.40 eV
Energy   -3748.76402 a.u.
Kohn-Sham gap   9.5 eV
Net charge   +1

Each line ends with the natural charge from an NBO analysis.
Cartesian coordinates (Å):
C1 3.505 -3.795 1.711  -0.63
C2 2.362 -3.016 1.152  0.03
C3 2.489 -1.653 0.901  -0.27
C4 1.416 -0.956 0.391  0.01
C5 0.185 -1.551 0.127  0.17
C6 0.062 -2.913 0.403  -0.05
C7 1.141 -3.629 0.898  -0.22
H1 1.019 -4.681 1.099  0.24
Cl1 -1.451 -3.714 0.154  0.04
O1 -0.839 -0.758 -0.334  -0.56
C8 -1.469 -1.113 -1.571  -0.07
H2 -2.505 -1.396 -1.359  0.20
C9 -1.427 0.080 -2.531  -0.45
C10 -2.226 1.270 -2.009  -0.22
N1 -1.580 1.818 -0.796  -0.54
H3 -1.357 1.001 -0.194  0.48
H4 -0.667 2.226 -1.037  0.44
C11 -2.351 2.841 -0.030  -0.05
C12 -2.302 4.196 -0.752  -0.43
H5 -1.959 4.076 -1.779  0.21
H6 -3.292 4.645 -0.796  0.24
C13 -1.333 5.083 0.050  -0.41
H7 -1.894 5.812 0.632  0.22
H8 -0.651 5.629 -0.596  0.23
C14 -0.597 4.131 0.993  -0.41
H9 -0.244 4.638 1.887  0.24
H10 0.267 3.676 0.506  0.19
C15 -1.656 3.079 1.311  -0.42
The Music School must receive written notice by email to music@cgs.vic.edu.au at least 6 school weeks in advance. For cancellation of lessons for the following year, notice must be given at least two weeks prior to the end of Term 4. If you would like to view the current Fees, Charges and Accounts Terms and Conditions please email music@cgs.vic.edu.au
At the end of each year enrolments are rolled over automatically to Term 1 of the next year. You do not need to complete a new enrolment form for a continuing instrument.
Enrolling in Music lessons is a wonderful opportunity to learn new skills and develop creativity. Music is an important means of self expression, and it makes a significant contribution to wellbeing. However, learning an instrument requires patience and perseverance. Student’s progress is unique and it usually takes at least one full semester before beginners will be able to make an informed decision about their suitability for an instrument.
A commitment to learning an instrument requires consistent independent practice outside of the lessons. We encourage families to find a regular time each day to practice. Shorter, daily practice is more beneficial than longer, more infrequent practice. Your son’s teacher will guide him in how to practice but we encourage you to support him in scheduling daily practice.
An important aspect of musicianship is learning to play as part of an ensemble. Ensembles have weekly rehearsals and members are expected to make a commitment to rehearsals to prepare for concerts and performances. All students have individual tuition are expected to be part of a core ensemble.
Your son’s teacher will advise of his readiness to join an ensemble and for his progression through this pathway.
Students who learn outside of school are very welcome to participate in our co-curricular program and we would encourage you to keep us informed about your progress with your studies.
We do not encourage students to study with multiple teachers of the same instrument, as this will create confusion and hinder progress.
We offer students a Music Record Book and it is a useful resource for monitoring progress and for helping with home practice. Continuous reporting will be provided by your son’s teacher through DEEDS.
Your son’s teacher will advise you of the titles of any books, sheet music or accessories which can be purchased via yourself or added onto your school account.
It is helpful to provide a named book bag to carry music folders and books, as well as name tags on hired (or owned) instruments.
Your son’s teacher will assess his readiness to undertake AMEB examinations as he progresses with consistent independent practice. The AMEB Exams are held every year over 5 sessions. If your son’s teacher would like him to sit an exam they will
=====
P.
C46H51N8OPRhS2 | ωB97M-V with the def2-TZVPD basis set

As for the expectation value of S²: 6.0444. As for the molecular weight: 930.0 g/mol. The HOMO energy (spin up / spin down) comes out at -2.882 / -4.585 eV.

```
! wB97M-V def2-TZVPD RIJCOSX def2/J DEFGRID3
* xyz -1 5
Rh 1.750 -1.024 0.077
N -2.732 -9.066 4.566
C -2.140 -8.202 4.086
C -1.408 -7.130 3.491
C -0.210 -6.693 4.060
C 0.491 -5.652 3.486
C 0.028 -5.004 2.329
C -1.168 -5.480 1.760
C -1.880 -6.515 2.327
C 0.749 -3.899 1.701
C 1.243 -2.828 2.514
C 1.166 -2.695 3.912
C 1.816 -1.500 4.260
C 2.247 -0.932 3.080
N 1.899 -1.711 2.019
C 0.988 -4.007 0.293
C 0.890 -5.158 -0.514
C 1.357 -4.810 -1.787
C 1.731 -3.475 -1.715
N 1.505 -2.994 -0.473
H 0.172 -7.184 4.946
H 1.434 -5.345 3.915
H -1.536 -5.006 0.860
H -2.807 -6.850 1.880
H 0.686 -3.380 4.591
H 1.961 -1.101 5.252
H 2.785 -0.012 2.915
H 0.567 -6.133 -0.187
H 1.446 -5.453 -2.649
H 2.155 -2.833 -2.474
S 4.415 -1.528 0.182
C 4.383 -0.602 -1.264
C 5.490 -0.070 -1.952
C 5.271 0.747 -3.035
C 3.965 1.040 -3.443
C 2.929 0.463 -2.736
N 3.139 -0.348 -1.705
H 6.490 -0.289 -1.602
H 6.114 1.174 -3.566
H 3.765 1.690 -4.283
H 1.887 0.630 -2.981
C 0.396 7.591 -0.858
C 1.212 8.614 -0.110
O 1.050 9.800 -0.247
S 2.464 8.080 1.046
C 2.376 6.307 1.014
C 3.209 5.574 0.174
C 3.122 4.195 0.130
C 2.203 3.509 0.935
C 1.391 4.256 1.801
C 1.478 5.636 1.840
C 2.063 2.098 0.827
C 1.975 0.899 0.651
H 0.142 8.017 -1.827
H -0.529 7.425 -0.301
H 0.901 6.637 -0.973
H 3.920 6.093 -0.457
H 3.759 3.624 -0.533
H 0.690 3.733 2.439
H 0.844 6.204 2.509
N 0.426 -0.429 -1.204
P -1.091 0.064 -1.146
N -1.288 1.592 -1.780
C -0.560 2.666 -1.086
C -1.176 4.019 -1.413
C -1.472 4.144 -2.921
C -0.726 3.062 -3.693
C -1.211 1.684 -3.255
N -1.766 0.191 0.356
C -1.474 -0.801 1.388
C -1.059 -0.118 2.681
C -2.158 0.832 3.144
C -2.516 1.826 2.041
C -2.841 1.101 0.738
N -1.964 -0.927 -2.144
C -1.466 -2.252 -2.512
C -2.040 -3.330 -1.604
C -3.564 -3.276 -1.611
C -4.051 -1.880 -1.228
C -3.417 -0.824 -2.131
H 0.501 2.635 -1.353
H -0.591 2.472 -0.017
H -0.474 4.790 -1.087
H -2.091 4.157 -0.832
H -1.209 5.138 -3.288
H -2.544 4.019 -3.103
H 0.350 3.159 -3.530
H -0.890 3.156 -4.768
H -0.566 0.899 -3.662
H -2.217 1.521 -3.657
H -0.706 -1.494 1.035
H -2.380 -1.405 1.560
H -0.126 0.423 2.506
H -0.848 -0.879 3.433
H -1.859 1.361 4.051
H -3.052 0.249 3.401
H -1.675 2.506 1.875
H -3.372 2.441 2.332
H -3.020 1.807 -0.072
H -3.764 0.516 0.882
H -0.378 -2.250 -2.463
H -1.755 -2.440 -3.555
H -1.660 -3.158 -0.590
H -1.665 -4.308 -1.911
H -3.986 -4.026 -0.936
H -3.928 -3.518 -2.617
H -3.764 -1.667 -0.193
H -5.140 -1.813 -1.284
H -3.699 0.182 -1.812
H -3.777 -0.948 -3.161
*
```

Here are the Löwdin charges for atoms 1 to 2, given in e: number 1, Rh, carries 1.026; number 2, N, carries 0.125

=====

Q.
C46H51N8OPRhS2 | ωB97M-V with the def2-TZVPD basis set

As for the expectation value of S²: 6.0526. As for the molecular weight: 930.0 g/mol. The HOMO energy (spin up / spin down) comes out at -2.684 / -4.469 eV.

```
=====
**End of the molecular data**
be in contact to discuss further. These charges are added onto your school account.
These exams are generally held at Camberwell Grammar school during the school term but can also be conducted at the AMEB studio in Hawthorn.
It is important that your son realises his commitment once he has been entered for an examination. A refund will not be given if he withdraws for a non-medical reason, nor can his enrolment be transferred from one examination session to another. If the examination is missed due to illness, 50% of the fee may be refunded at the discretion of the AMEB, following submission of a doctor’s certificate to the Music School Office.
If a school accompanist is engaged for your son’s examination, these charges will be added as a separate item(s) to the family Statement of Account at the end of term.
Students are very welcome to undertake internal assessments with their teacher and department Head to develop their performance experience before a formal exam.
Fiona Magee
Mr Alex St Vincent Welch
Ms Amy Cutler
Jessica Johnson